To do.
What is needed: set down all of the block further down verbatim.

Entries.
=====
(1)
# VOF2 | Materials Project | PBE+U | optimized geometry
# Maximum piezoelectric response (C/m²): 1.83
# VASP energy (eV per atom): -6.4913
data_VOF2
_symmetry_space_group_name_H-M 'C 1 c 1'
_symmetry_Int_Tables_number 9
_symmetry_space_group_name_Hall 'C -2yc'
_cell_length_a 9.065
_cell_length_b 5.203
_cell_length_c 13.386
_cell_angle_alpha 90.00
_cell_angle_beta 91.11
_cell_angle_gamma 90.00
loop_
_atom_site_label
_atom_site_type_symbol
_atom_site_fract_x
_atom_site_fract_y
_atom_site_fract_z
V1 V 0.000 0.005 0.000
V2 V 0.173 0.469 0.666
V3 V 0.332 0.036 0.334
O1 O 0.134 0.217 0.591
O2 O 0.224 0.215 0.259
O3 O 0.391 0.305 0.426
F1 F 0.017 0.402 0.762
F2 F 0.044 0.285 0.097
F3 F 0.182 0.087 0.927
F4 F 0.311 0.290 0.758
F5 F 0.341 0.398 0.090
F6 F 0.472 0.193 0.922

---

(2)
# V3O4F2 | Materials Project | PBE+U | optimized geometry
# Excess energy over the best structure of this formula in the dataset (meV/atom): 8
# VASP energy (eV per atom): -7.3864
# Total moment (μB/f.u.): 5.0
data_V3O4F2
_symmetry_space_group_name_H-M 'P -1'
_symmetry_Int_Tables_number 2
_symmetry_space_group_name_Hall '-P 1'
_cell_length_a 5.583
_cell_length_b 5.591
_cell_length_c 7.304
_cell_angle_alpha 72.89
_cell_angle_beta 72.08
_cell_angle_gamma 72.54
loop_
_atom_site_label
_atom_site_type_symbol
_atom_site_fract_x
_atom_site_fract_y
_atom_site_fract_z
V1 V 0.000 0.000 0.000
V2 V 0.000 0.000 0.500
V3 V 0.297 0.368 0.148
V4 V 0.349 0.355 0.666
O1 O 0.024 0.639 0.171
O2 O 0.108 0.110 0.195
O3 O 0.304 0.707 0.498
O4 O 0.436 0.444 0.874
F1 F 0.238 0.244 0.456
F2 F 0.378 0.964 0.828

---

(3)
# V2O3F3 | Materials Project | PBE+U | optimized geometry
# Excess energy over the best structure of this formula in the dataset (meV/atom): 0
# VASP energy (eV per atom): -6.6437
data_V2O3F3
_symmetry_space_group_name_H-M 'P 1'
_symmetry_Int_Tables_number 1
_symmetry_space_group_name_Hall 'P 1'
_cell_length_a 5.186
_cell_length_b 5.241
_cell_length_c 13.247
_cell_angle_alpha 89.13
_cell_angle_beta 89.17
_cell_angle_gamma 60.49
loop_
_atom_site_label
_atom_site_type_symbol
_atom_site_fract_x
_atom_site_fract_y
_atom_site_fract_z
V1 V 0.000 0.000 0.000
V2 V 0.017 0.954 0.517
V3 V 0.379 0.302 0.841
V4 V 0.411 0.302 0.344
V5 V 0.670 0.634 0.671
V6 V 0.715 0.670 0.182
O1 O 0.119 0.199 0.934
O2 O 0.385 0.710 0.595
O3 O 0.456 0.521 0.261
O4 O 0.596 0.384 0.766
O5 O 0.602 0.956 0.263
O6 O 0.694 0.204 0.424
O7 O 0.701 0.054 0.935
O8 O 0.806 0.868 0.595
O9 O 0.937 0.718 0.101
F1 F 0.012 0.551 0.766
F2 F 0.021 0.380 0.263
F3 F 0.110 0.614 0.425
F4 F 0.267 0.044 0.427
F5 F 0.276 0.633 0.937
F6 F 0.374 0.856 0.100
F7 F 0.434 0.963 0.765
F8 F 0.795 0.282 0.100
F9 F 0.966 0.290 0.597

---

(4)
# VOF2 | Materials Project | PBE+U | optimized geometry
# VASP energy (eV per atom): -6.4952
data_VOF2
_symmetry_space_group_name_H-M 'P 1'
_symmetry_Int_Tables_number 1
_symmetry_space_group_name_Hall 'P 1'
_cell_length_a 5.233
_cell_length_b 5.253
_cell_length_c 13.377
_cell_angle_alpha 90.06
_cell_angle_beta 90.31
_cell_angle_gamma 119.85
loop_
_atom_site_label
_atom_site_type_symbol
_atom_site_fract_x
_atom_site_fract_y
_atom_site_fract_z
V1 V 0.000 0.000 0.000
V2 V 0.006 0.040 0.500
V3 V 0.299 0.657 0.334
V4 V 0.389 0.677 0.833
V5 V 0.646 0.313 0.166
V6 V 0.692 0.335 0.667
O1 O 0.012 0.576 0.259
O2 O 0.092 0.333 0.426
O3 O 0.356 0.103 0.092
O4 O 0.589 0.595 0.755
O5 O 0.704 0.919 0.925
O6 O 0.772 0.120 0.594
F1 F 0.008 0.428 0.764
F2 F 0.122 0.758 0.927
F3 F 0.264 0.926 0.427
F4 F 0.285 0.344 0.925
F5 F 0.344 0.270 0.591
F6 F 0.425 0.017 0.759
F7 F 0.431 0.414 0.263
F8 F 0.599 0.001 0.258
F9 F 0.666 0.754 0.424
F10 F 0.769 0.685 0.097
F11 F 0.933 0.698 0.591
F12 F 0.943 0.267 0.090

---

(5)
# VOF3 | Materials Project | PBE+U | optimized geometry
# VASP energy (eV per atom): -5.8835
# Total moment (μB/f.u.): 0.0
data_VOF3
_symmetry_space_group_name_H-M 'P c a 21'
_symmetry_Int_Tables_number 29
_symmetry_space_group_name_Hall 'P 2c -2ac'
_cell_length_a 7.312
_cell_length_b 5.335
=====

Worked solution.
(1)
# VOF2 | Materials Project | PBE+U | optimized geometry
# Maximum piezoelectric response (C/m²): 1.83
# VASP energy (eV per atom): -6.4913
data_VOF2
_symmetry_space_group_name_H-M 'C 1 c 1'
_symmetry_Int_Tables_number 9
_symmetry_space_group_name_Hall 'C -2yc'
_cell_length_a 9.065
_cell_length_b 5.203
_cell_length_c 13.386
_cell_angle_alpha 90.00
_cell_angle_beta 91.11
_cell_angle_gamma 90.00
loop_
_atom_site_label
_atom_site_type_symbol
_atom_site_fract_x
_atom_site_fract_y
_atom_site_fract_z
V1 V 0.000 0.005 0.000
V2 V 0.173 0.469 0.666
V3 V 0.332 0.036 0.334
O1 O 0.134 0.217 0.591
O2 O 0.224 0.215 0.259
O3 O 0.391 0.305 0.426
F1 F 0.017 0.402 0.762
F2 F 0.044 0.285 0.097
F3 F 0.182 0.087 0.927
F4 F 0.311 0.290 0.758
F5 F 0.341 0.398 0.090
F6 F 0.472 0.193 0.922

---

(2)
# V3O4F2 | Materials Project | PBE+U | optimized geometry
# Excess energy over the best structure of this formula in the dataset (meV/atom): 8
# VASP energy (eV per atom): -7.3864
# Total moment (μB/f.u.): 5.0
data_V3O4F2
_symmetry_space_group_name_H-M 'P -1'
_symmetry_Int_Tables_number 2
_symmetry_space_group_name_Hall '-P 1'
_cell_length_a 5.583
_cell_length_b 5.591
_cell_length_c 7.304
_cell_angle_alpha 72.89
_cell_angle_beta 72.08
_cell_angle_gamma 72.54
loop_
_atom_site_label
_atom_site_type_symbol
_atom_site_fract_x
_atom_site_fract_y
_atom_site_fract_z
V1 V 0.000 0.000 0.000
V2 V 0.000 0.000 0.500
V3 V 0.297 0.368 0.148
V4 V 0.349 0.355 0.666
O1 O 0.024 0.639 0.171
O2 O 0.108 0.110 0.195
O3 O 0.304 0.707 0.498
O4 O 0.436 0.444 0.874
F1 F 0.238 0.244 0.456
F2 F 0.378 0.964 0.828

---

(3)
# V2O3F3 | Materials Project | PBE+U | optimized geometry
# Excess energy over the best structure of this formula in the dataset (meV/atom): 0
# VASP energy (eV per atom): -6.6437
data_V2O3F3
_symmetry_space_group_name_H-M 'P 1'
_symmetry_Int_Tables_number 1
_symmetry_space_group_name_Hall 'P 1'
_cell_length_a 5.186
_cell_length_b 5.241
_cell_length_c 13.247
_cell_angle_alpha 89.13
_cell_angle_beta 89.17
_cell_angle_gamma 60.49
loop_
_atom_site_label
_atom_site_type_symbol
_atom_site_fract_x
_atom_site_fract_y
_atom_site_fract_z
V1 V 0.000 0.000 0.000
V2 V 0.017 0.954 0.517
V3 V 0.379 0.302 0.841
V4 V 0.411 0.302 0.344
V5 V 0.670 0.634 0.671
V6 V 0.715 0.670 0.182
O1 O 0.119 0.199 0.934
O2 O 0.385 0.710 0.595
O3 O 0.456 0.521 0.261
O4 O 0.596 0.384 0.766
O5 O 0.602 0.956 0.263
O6 O 0.694 0.204 0.424
O7 O 0.701 0.054 0.935
O8 O 0.806 0.868 0.595
O9 O 0.937 0.718 0.101
F1 F 0.012 0.551 0.766
F2 F 0.021 0.380 0.263
F3 F 0.110 0.614 0.425
F4 F 0.267 0.044 0.427
F5 F 0.276 0.633 0.937
F6 F 0.374 0.856 0.100
F7 F 0.434 0.963 0.765
F8 F 0.795 0.282 0.100
F9 F 0.966 0.290 0.597

---

(4)
# VOF2 | Materials Project | PBE+U | optimized geometry
# VASP energy (eV per atom): -6.4952
data_VOF2
_symmetry_space_group_name_H-M 'P 1'
_symmetry_Int_Tables_number 1
_symmetry_space_group_name_Hall 'P 1'
_cell_length_a 5.233
_cell_length_b 5.253
_cell_length_c 13.377
_cell_angle_alpha 90.06
_cell_angle_beta 90.31
_cell_angle_gamma 119.85
loop_
_atom_site_label
_atom_site_type_symbol
_atom_site_fract_x
_atom_site_fract_y
_atom_site_fract_z
V1 V 0.000 0.000 0.000
V2 V 0.006 0.040 0.500
V3 V 0.299 0.657 0.334
V4 V 0.389 0.677 0.833
V5 V 0.646 0.313 0.166
V6 V 0.692 0.335 0.667
O1 O 0.012 0.576 0.259
O2 O 0.092 0.333 0.426
O3 O 0.356 0.103 0.092
O4 O 0.589 0.595 0.755
O5 O 0.704 0.919 0.925
O6 O 0.772 0.120 0.594
F1 F 0.008 0.428 0.764
F2 F 0.122 0.758 0.927
F3 F 0.264 0.926 0.427
F4 F 0.285 0.344 0.925
F5 F 0.344 0.270 0.591
F6 F 0.425 0.017 0.759
F7 F 0.431 0.414 0.263
F8 F 0.599 0.001 0.258
F9 F 0.666 0.754 0.424
F10 F 0.769 0.685 0.097
F11 F 0.933 0.698 0.591
F12 F 0.943 0.267 0.090

---

(5)
# VOF3 | Materials Project | PBE+U | optimized geometry
# VASP energy (eV per atom): -5.8835
# Total moment (μB/f.u.): 0.0
data_VOF3
_symmetry_space_group_name_H-M 'P c a 21'
_symmetry_Int_Tables_number 29
_symmetry_space_group_name_Hall 'P 2c -2ac'
_cell_length_a 7.312
_cell_length_b 5.335